Request:
Start at the top of the block further below and duplicate each line, ending with the one that has "Ga2 0.206".
Contents:
=====
Pb2OF: relaxed, PBE.

Output
Symmetry: I-42d, No. 122
Offset from the most stable computed form in eV/f.u.: 0.863
Volume in Å³/f.u.: 98.04

Cell lengths 5.8765, 5.8765, 7.0359 Å; angles 65.32, 65.32, 90.00 degrees
Closest atoms and distances in Å follow each position.
Fractional positions:
Pb 0.5924 0.1250 0.2500  2 O 2.41, 2 F 2.63
Pb 0.1576 0.6250 0.2500  2 O 2.41, 2 F 2.63
Pb 0.3750 0.4076 0.7500  2 O 2.41, 2 F 2.63
Pb 0.8750 0.8424 0.7500  2 O 2.41, 2 F 2.63
O 0.5000 0.5000 0.0000  4 Pb 2.41
O 0.2500 0.7500 0.5000  4 Pb 2.41
F 0.0000 0.0000 0.0000  4 Pb 2.63
F 0.7500 0.2500 0.5000  4 Pb 2.63

* * * * *

No. 1
Ac6Sn5H | PBE-GGA | optimized geometry

Geometry as CIF:
```
data_Ac6Sn5H
_space_group_name_H-M_alt 'C 1 2/m 1'
_space_group_IT_number 12
_cell_length_a 8.344
_cell_length_b 14.504
_cell_length_c 7.963
_cell_angle_alpha 90.00
_cell_angle_beta 110.49
_cell_angle_gamma 90.00
loop_
_space_group_symop_operation_xyz
'x,y,z'
'-x,-y,-z'
'-x,y,-z'
'x,-y,z'
'x+1/2,y+1/2,z'
'-x+1/2,-y+1/2,-z'
'-x+1/2,y+1/2,-z'
'x+1/2,-y+1/2,z'
loop_
_atom_site_label
_atom_site_fract_x
_atom_site_fract_y
_atom_site_fract_z
Ac1 0.240 0.000 0.256
Ac2 0.246 0.162 0.749
Sn1 0.000 0.168 0.000
Sn2 0.000 0.333 0.500
Sn3 0.000 0.500 0.000
H1 0.000 0.000 0.500
```

* electronic total energy: -4.468 eV per atom


No. 2
PmSm4Dy | PBE-GGA | optimized geometry

Geometry as CIF:
```
data_PmSm4Dy
_space_group_name_H-M_alt 'C m c m'
_space_group_IT_number 63
_space_group_name_Hall '-C 2c 2'
_cell_length_a 7.019
_cell_length_b 11.995
_cell_length_c 9.730
_cell_angle_alpha 90.00
_cell_angle_beta 90.00
_cell_angle_gamma 90.00
loop_
_atom_site_label
_atom_site_fract_x
_atom_site_fract_y
_atom_site_fract_z
Pm1 0.000 0.184 0.250
Sm1 0.000 0.325 0.573
Sm2 0.221 0.419 0.250
Dy1 0.000 0.000 0.000
```

* relative energy among the computed polymorphs: 223.6 meV/atom
* ΔH_f (0 K): 5.5 kcal/mol of atoms


No. 3
PmTlCuIr | PBE-GGA | optimized geometry

Geometry as CIF:
```
data_PmTlCuIr
_space_group_name_H-M_alt 'F -4 3 m'
_space_group_IT_number 216
_space_group_name_Hall 'F -4 2 3'
_cell_length_a 6.864
_cell_length_b 6.864
_cell_length_c 6.864
_cell_angle_alpha 90.00
_cell_angle_beta 90.00
_cell_angle_gamma 90.00
loop_
_atom_site_label
_atom_site_fract_x
_atom_site_fract_y
_atom_site_fract_z
Pm1 0.000 0.000 0.000
Tl1 0.000 0.000 0.500
Cu1 0.250 0.250 0.250
Ir1 0.250 0.250 0.750
```

* ΔH_f (0 K): -2.4 kcal/mol of atoms


No. 4
CaGa2Pt2 | PBE-GGA | optimized geometry

Geometry as CIF:
```
data_CaGa2Pt2
_space_group_name_H-M_alt 'I 4/m m m'
_space_group_IT_number 139
_space_group_name_Hall '-I 4 2'
_cell_length_a 4.170
_cell_length_b 4.170
_cell_length_c 11.249
_cell_angle_alpha 90.00
_cell_angle_beta 90.00
_cell_angle_gamma 90.00
loop_
_atom_site_label
_atom_site_fract_x
_atom_site_fract_y
_atom_site_fract_z
Ca1 0.000 0.000 0.000
Ga1 0.000 0.500 0.250
Pt1 0.000 0.000 0.381
```

* ΔH_f (0 K): -19.4 kcal/mol of atoms


Let's list M_tot in order: 0.0 0.0 0.0 0.0 μB per formula unit.
Let's list calculated volume in order: 37.61 34.13 20.22 19.56 Å³ per atom.

* * * * *

Density functional theory data (PBE-GGA) for BaBeTlC2 after structural relaxation.

## Properties
Spin magnetization, μB per atom: 0.48
Space-group type: P4/mmm
Total DFT energy (no corrections), eV/atom: -2.574
Density of states at the Fermi level, states/eV/f.u.: 3.451
Formation energy from the elements, eV/atom: 2.72

Cell lengths 5.019, 5.892, 5.019 Å; angles 90.00, 90.00, 90.00 degrees
Each line ends with the local moment (μB).
Fractional positions:
C1 0.000 0.000 0.500  0.61
C2 0.500 0.000 0.000  0.53
Be1 0.000 0.500 0.000  -0.02
Tl1 0.500 0.500 0.500  -0.01
Ba1 0.000 0.000 0.000  0.07

* * * * *

Material: Sm2Ga5Ni3
Method: DFT, PBE
State: optimized geometry

abc: 12.379 12.379 6.640
angles: 90.00 90.00 160.32
Sites, in units of the cell vectors:
Sm1 0.020 0.980 0.500
Sm2 0.326 0.674 0.461
Sm3 0.674 0.326 0.961
Sm4 0.980 0.020 0.000
Ga1 0.100 0.900 0.148
Ga2 0.206 0.794 0.651
Ga3 0.211 0.789 0.254
=====
Written answer:
Pb2OF: relaxed, PBE.

Output
Symmetry: I-42d, No. 122
Offset from the most stable computed form in eV/f.u.: 0.863
Volume in Å³/f.u.: 98.04

Cell lengths 5.8765, 5.8765, 7.0359 Å; angles 65.32, 65.32, 90.00 degrees
Closest atoms and distances in Å follow each position.
Fractional positions:
Pb 0.5924 0.1250 0.2500  2 O 2.41, 2 F 2.63
Pb 0.1576 0.6250 0.2500  2 O 2.41, 2 F 2.63
Pb 0.3750 0.4076 0.7500  2 O 2.41, 2 F 2.63
Pb 0.8750 0.8424 0.7500  2 O 2.41, 2 F 2.63
O 0.5000 0.5000 0.0000  4 Pb 2.41
O 0.2500 0.7500 0.5000  4 Pb 2.41
F 0.0000 0.0000 0.0000  4 Pb 2.63
F 0.7500 0.2500 0.5000  4 Pb 2.63

* * * * *

No. 1
Ac6Sn5H | PBE-GGA | optimized geometry

Geometry as CIF:
```
data_Ac6Sn5H
_space_group_name_H-M_alt 'C 1 2/m 1'
_space_group_IT_number 12
_cell_length_a 8.344
_cell_length_b 14.504
_cell_length_c 7.963
_cell_angle_alpha 90.00
_cell_angle_beta 110.49
_cell_angle_gamma 90.00
loop_
_space_group_symop_operation_xyz
'x,y,z'
'-x,-y,-z'
'-x,y,-z'
'x,-y,z'
'x+1/2,y+1/2,z'
'-x+1/2,-y+1/2,-z'
'-x+1/2,y+1/2,-z'
'x+1/2,-y+1/2,z'
loop_
_atom_site_label
_atom_site_fract_x
_atom_site_fract_y
_atom_site_fract_z
Ac1 0.240 0.000 0.256
Ac2 0.246 0.162 0.749
Sn1 0.000 0.168 0.000
Sn2 0.000 0.333 0.500
Sn3 0.000 0.500 0.000
H1 0.000 0.000 0.500
```

* electronic total energy: -4.468 eV per atom


No. 2
PmSm4Dy | PBE-GGA | optimized geometry

Geometry as CIF:
```
data_PmSm4Dy
_space_group_name_H-M_alt 'C m c m'
_space_group_IT_number 63
_space_group_name_Hall '-C 2c 2'
_cell_length_a 7.019
_cell_length_b 11.995
_cell_length_c 9.730
_cell_angle_alpha 90.00
_cell_angle_beta 90.00
_cell_angle_gamma 90.00
loop_
_atom_site_label
_atom_site_fract_x
_atom_site_fract_y
_atom_site_fract_z
Pm1 0.000 0.184 0.250
Sm1 0.000 0.325 0.573
Sm2 0.221 0.419 0.250
Dy1 0.000 0.000 0.000
```

* relative energy among the computed polymorphs: 223.6 meV/atom
* ΔH_f (0 K): 5.5 kcal/mol of atoms


No. 3
PmTlCuIr | PBE-GGA | optimized geometry

Geometry as CIF:
```
data_PmTlCuIr
_space_group_name_H-M_alt 'F -4 3 m'
_space_group_IT_number 216
_space_group_name_Hall 'F -4 2 3'
_cell_length_a 6.864
_cell_length_b 6.864
_cell_length_c 6.864
_cell_angle_alpha 90.00
_cell_angle_beta 90.00
_cell_angle_gamma 90.00
loop_
_atom_site_label
_atom_site_fract_x
_atom_site_fract_y
_atom_site_fract_z
Pm1 0.000 0.000 0.000
Tl1 0.000 0.000 0.500
Cu1 0.250 0.250 0.250
Ir1 0.250 0.250 0.750
```

* ΔH_f (0 K): -2.4 kcal/mol of atoms


No. 4
CaGa2Pt2 | PBE-GGA | optimized geometry

Geometry as CIF:
```
data_CaGa2Pt2
_space_group_name_H-M_alt 'I 4/m m m'
_space_group_IT_number 139
_space_group_name_Hall '-I 4 2'
_cell_length_a 4.170
_cell_length_b 4.170
_cell_length_c 11.249
_cell_angle_alpha 90.00
_cell_angle_beta 90.00
_cell_angle_gamma 90.00
loop_
_atom_site_label
_atom_site_fract_x
_atom_site_fract_y
_atom_site_fract_z
Ca1 0.000 0.000 0.000
Ga1 0.000 0.500 0.250
Pt1 0.000 0.000 0.381
```

* ΔH_f (0 K): -19.4 kcal/mol of atoms


Let's list M_tot in order: 0.0 0.0 0.0 0.0 μB per formula unit.
Let's list calculated volume in order: 37.61 34.13 20.22 19.56 Å³ per atom.

* * * * *

Density functional theory data (PBE-GGA) for BaBeTlC2 after structural relaxation.

## Properties
Spin magnetization, μB per atom: 0.48
Space-group type: P4/mmm
Total DFT energy (no corrections), eV/atom: -2.574
Density of states at the Fermi level, states/eV/f.u.: 3.451
Formation energy from the elements, eV/atom: 2.72

Cell lengths 5.019, 5.892, 5.019 Å; angles 90.00, 90.00, 90.00 degrees
Each line ends with the local moment (μB).
Fractional positions:
C1 0.000 0.000 0.500  0.61
C2 0.500 0.000 0.000  0.53
Be1 0.000 0.500 0.000  -0.02
Tl1 0.500 0.500 0.500  -0.01
Ba1 0.000 0.000 0.000  0.07

* * * * *

Material: Sm2Ga5Ni3
Method: DFT, PBE
State: optimized geometry

abc: 12.379 12.379 6.640
angles: 90.00 90.00 160.32
Sites, in units of the cell vectors:
Sm1 0.020 0.980 0.500
Sm2 0.326 0.674 0.461
Sm3 0.674 0.326 0.961
Sm4 0.980 0.020 0.000
Ga1 0.100 0.900 0.148
Ga2 0.206 0.794 0.651